So, the veil is off – or at least it’s lifted a bit. On May 4, we’ll know who passed and
failed the stress test. Yes, we know it’s an all-pass test – Treasury has repeatedly assured
Next to the page, the page also holds calculated crystals
- - -
TaTi2Cu | GGA-PBE | relaxed

Output
Its electronic total energy is -31.26 eV per cell. As for the energy above the most stable polymorph in this dataset: 0.131 eV/atom. The density of states at the Fermi level is 4.7 states/eV/f.u. The spin magnetization comes out at 0.00 μB/cell. As for the space-group type: R3m (160). The value obtained for the formation energy is 0.12 eV/atom.

```
TaTi2Cu
1.0
-2.086 -1.819 0.880
0.704 -2.466 1.363
-0.846 2.883 8.744
Ti Cu Ta
2 1 1
Cartesian
-0.755 1.864 6.855
-0.552 -0.408 2.641
-1.767 0.022 10.232
-1.114 -0.698 5.498
```

----------

This record from OQMD describes GdMgZn after structural relaxation. The functional is PBE-GGA.

```
data_GdMgZn
_chemical_formula_sum 'Gd4 Mg4 Zn4'
_cell_length_a 6.219
_cell_length_b 6.417
_cell_length_c 7.920
_cell_angle_alpha 84.99
_cell_angle_beta 86.69
_cell_angle_gamma 62.23
_symmetry_space_group_name_H-M 'P 1'
_symmetry_Int_Tables_number 1
_symmetry_space_group_name_Hall 'P 1'
loop_
_atom_site_label
_atom_site_fract_x
_atom_site_fract_y
_atom_site_fract_z
_atom_site_occupancy
Gd1 0.000 0.000 0.000 1
Gd2 0.135 0.100 0.409 1
Gd3 0.462 0.325 0.669 1
Gd4 0.721 0.662 0.375 1
Mg1 0.041 0.489 0.019 1
Mg2 0.462 0.818 0.733 1
Mg3 0.492 0.019 0.048 1
Mg4 0.534 0.503 0.042 1
Zn1 0.227 0.604 0.337 1
Zn2 0.636 0.166 0.321 1
Zn3 0.922 0.379 0.717 1
Zn4 0.967 0.797 0.667 1
```

Properties
E_tot: -2.6379 eV/atom

---

This record from OQMD describes ScBeAlPt after structural relaxation. The functional is PBE-GGA.

```
data_ScBeAlPt
_chemical_formula_sum 'Sc4 Be4 Al4 Pt4'
_cell_length_a 6.209
_cell_length_b 6.209
_cell_length_c 6.209
_cell_angle_alpha 90.00
_cell_angle_beta 90.00
_cell_angle_gamma 90.00
_symmetry_space_group_name_H-M 'F -4 3 m'
_symmetry_Int_Tables_number 216
_symmetry_space_group_name_Hall 'F -4 2 3'
loop_
_atom_site_label
_atom_site_fract_x
_atom_site_fract_y
_atom_site_fract_z
_atom_site_occupancy
Sc1 0.000 0.000 0.000 1
Be1 0.000 0.000 0.500 1
Al1 0.250 0.250 0.250 1
Pt1 0.250 0.250 0.750 1
```

Properties
energy above the most stable polymorph in this dataset: 147 meV/atom

---

This record from OQMD describes LiGaCuOs after structural relaxation. The functional is PBE-GGA.

```
data_LiGaCuOs
_chemical_formula_sum 'Li4 Ga4 Cu4 Os4'
_cell_length_a 5.906
_cell_length_b 5.906
_cell_length_c 5.906
_cell_angle_alpha 90.00
_cell_angle_beta 90.00
_cell_angle_gamma 90.00
_symmetry_space_group_name_H-M 'F -4 3 m'
_symmetry_Int_Tables_number 216
_symmetry_space_group_name_Hall 'F -4 2 3'
loop_
_atom_site_label
_atom_site_fract_x
_atom_site_fract_y
_atom_site_fract_z
_atom_site_occupancy
Li1 0.000 0.000 0.000 1
Ga1 0.250 0.250 0.250 1
Cu1 0.000 0.000 0.500 1
Os1 0.250 0.250 0.750 1
```

Properties
energy above the most stable polymorph in this dataset: 182 meV/atom

---

This record from OQMD describes FeCuPd after structural relaxation. The functional is PBE-GGA.

```
data_FeCuPd
_chemical_formula_sum 'Fe4 Cu4 Pd4'
_cell_length_a 5.687
_cell_length_b 5.687
- - -
the market that the stress test won’t really stress anyone because it will just suggest how
much capital a bank might care to raise. That version of the stress test strained credulity,
though. As it became indisputable that not all banks could slide through with just a
capital touch-up or two, the results became clearly material events. If the banks or
Treasury didn’t release the stress test’s results, then the market would guess them and
that would lead to still worse volatility sparked by ongoing uncertainty.
When the stress tests were announced for the nineteen biggest banks, Chairman Bernanke
told Congress that its results would be disclosed. This was promptly refuted by Treasury,
which made clear that the results would be confined to a chosen few. Under this
approach, the results were to be treated like any examination’s conclusions and closely
guarded from public scrutiny. Banks worried though that this legal protectionism
afforded exam results would not protect them from the stress test because of its clear,
immediate consequences. More importantly, banks that expect to pass the test with
flying colors – and we think there are at least a couple – believed they would be dragged
right back into the muck of market fear if Treasury tried to obscure the results .
Whatever Treasury attempted, the market would surely out-guess it by seeing who was
going where in the market for how much capital from whom.
This bit of transparency on the stress test will thus be of considerable value to sound
banks – again, there really are some. It will also ensure discipline for the weaker ones – a
long-overdue bit of sanction from federal regulators. The disclosures thus reinforce a
point we’ve made in the past: regulators shouldn’t shirk the market discipline they tout
for the industry. Their conclusions can and should be made public.
Going back to 2001, we testified to Congress that CAMELS ratings should be disclosed
and we still think this would be a good idea. Regulators have long opposed this because
they fear panicky flight from weak institutions to strong ones. In fact, regulators have
been so frightened of depositor and investor judgment that they’ve even kept enforcement
orders – which must generally be made public – under wraps. However, all this fear has
contributed to the costly contretemps in which banking now finds itself: without
knowing who was sound or weak and to some degree trusting in too-big-to-fail implicit
guarantees, the market hasn’t had to differentiate among banking organizations until the
fear came upon them. At that point, weak banks were far too large to handle with care
and the rest, as we sadly know, is history.
If uninsured depositors, counterparties and investors can see regulator judgments, then
they can rationally assess them and start to protect themselves long before a bank slides
into the abyss. If a bank goes from CAMELS 1 to 2, for example, pricing can and should
change. This will create strong incentives for banks quickly to get back in regulators’
good graces even though the downgrade isn’t so steep that any knowledgeable
counterparty would fear imminent default. If banks slip from 2 to 3 and farther down,
then counterparties will take still more steps to protect themselves. With appropriate
liquidity risk requirements, no panicky flights that threaten solvent institutions will occur,
but market discipline will matter. What’s more, big banks will either cure themselves
quickly or shrink fast. We can’t think of a quicker way to constrain too-big-to-fail banks.
Regulators are all for “transparency” when it comes to banks, but it would do at least as
much good for the industry if the regulators tried a bit of transparency on their own.